# Wanted
Print every line underneath that contains the word "at".

# Data
1.
First-principles (PBE-GGA) data for a relaxed structure of MgBeSe2Br, as listed in Alexandria.

Values from the calculation:
The calculation puts the uncorrected formation energy at 0.41 eV per atom. Its crystal system is tetragonal. As for the excess energy over the best structure of this formula in the dataset: 589 meV per atom.

Geometry as CIF:
```
data_MgBeSe2Br
_chemical_formula_sum 'Mg1 Be1 Se2 Br1'
_cell_length_a 5.1167
_cell_length_b 5.1167
_cell_length_c 5.0007
_cell_angle_alpha 90.00
_cell_angle_beta 90.00
_cell_angle_gamma 90.00
_space_group_name_H-M_alt 'P 4/m m m'
_space_group_IT_number 123
_space_group_name_Hall '-P 4 2'
loop_
_atom_site_label
_atom_site_fract_x
_atom_site_fract_y
_atom_site_fract_z
_atom_site_occupancy
Mg1 0.0000 0.0000 0.0000 1
Be1 0.5000 0.5000 0.5000 1
Se1 0.0000 0.5000 0.0000 1
Br1 0.0000 0.0000 0.5000 1
```

---

2.
First-principles (PBE-GGA) data for a relaxed structure of MgBeSiBr2, as listed in Alexandria.

Values from the calculation:
The calculation puts the uncorrected formation energy at 0.50 eV per atom. Its crystal system is tetragonal.

Geometry as CIF:
```
data_MgBeSiBr2
_chemical_formula_sum 'Mg1 Be1 Si1 Br2'
_cell_length_a 5.3242
_cell_length_b 5.3242
_cell_length_c 5.1758
_cell_angle_alpha 90.00
_cell_angle_beta 90.00
_cell_angle_gamma 90.00
_space_group_name_H-M_alt 'P 4/m m m'
_space_group_IT_number 123
_space_group_name_Hall '-P 4 2'
loop_
_atom_site_label
_atom_site_fract_x
_atom_site_fract_y
_atom_site_fract_z
_atom_site_occupancy
Mg1 0.0000 0.0000 0.0000 1
Be1 0.5000 0.5000 0.0000 1
Si1 0.0000 0.0000 0.5000 1
Br1 0.0000 0.5000 0.5000 1
```

---

3.
First-principles (PBE-GGA) data for a relaxed structure of MgTaBeBr2, as listed in Alexandria.

Values from the calculation:
The calculation puts the uncorrected formation energy at 0.75 eV per atom. Its crystal system is tetragonal.

Geometry as CIF:
```
data_MgTaBeBr2
_chemical_formula_sum 'Mg1 Ta1 Be1 Br2'
_cell_length_a 5.0084
_cell_length_b 5.0084
_cell_length_c 5.8429
_cell_angle_alpha 90.00
_cell_angle_beta 90.00
_cell_angle_gamma 90.00
_space_group_name_H-M_alt 'P 4/m m m'
_space_group_IT_number 123
_space_group_name_Hall '-P 4 2'
loop_
_atom_site_label
_atom_site_fract_x
_atom_site_fract_y
_atom_site_fract_z
_atom_site_occupancy
Mg1 0.0000 0.0000 0.0000 1
Ta1 0.0000 0.0000 0.5000 1
Be1 0.5000 0.5000 0.0000 1
Br1 0.0000 0.5000 0.5000 1
```

---

4.
First-principles (PBE-GGA) data for a relaxed structure of MnBe2Br6, as listed in Alexandria.

Values from the calculation:
The calculation puts the uncorrected formation energy at -0.90 eV per atom. Its crystal system is monoclinic.

Geometry as CIF:
```
data_MnBe2Br6
_chemical_formula_sum 'Mn4 Be8 Br24'
_cell_length_a 13.8342
_cell_length_b 14.0864
_cell_length_c 6.2516
_cell_angle_alpha 90.00
_cell_angle_beta 116.86
_cell_angle_gamma 90.00
_space_group_name_H-M_alt 'C 1 2/c 1'
_space_group_IT_number 15
loop_
_space_group_symop_operation_xyz
'x,y,z'
'-x,-y,-z'
'-x,y,-z+1/2'
'x,-y,z+1/2'
'x+1/2,y+1/2,z'
'-x+1/2,-y+1/2,-z'
'-x+1/2,y+1/2,-z+1/2'
'x+1/2,-y+1/2,z+1/2'
loop_
_atom_site_label
_atom_site_fract_x
_atom_site_fract_y
_atom_site_fract_z
_atom_site_occupancy
Mn1 0.0000 0.2504 0.2500 1
Be1 0.2496 0.0739 0.3618 1
Br1 0.1047 0.1481 0.0977 1
Br2 0.1047 0.3530 0.6109 1
Br3 0.2491 0.0701 0.7156 1
```

---

5.
First-principles (PBE-GGA) data for a relaxed structure of Mn2BeBr, as listed in Alexandria.

Values from the calculation:
The calculation puts the uncorrected formation energy at 0.39 eV per atom. Its crystal system is tetragonal. As for the excess energy over the best structure of this formula in the dataset: 124 meV per atom.

Geometry as CIF:
```
data_Mn2BeBr
_chemical_formula_sum 'Mn2 Be1 Br1'
_cell_length_a 3.0505
_cell_length_b 3.0505
_cell_length_c 6.5862
_cell_angle_alpha 90.00
_cell_angle_beta 90.00
_cell_angle_gamma 90.00
_space_group_name_H-M_alt 'P 4/m m m'
_space_group_IT_number 123
_space_group_name_Hall '-P 4 2'
loop_
_atom_site_label

# Here it is
The calculation puts the uncorrected formation energy at 0.41 eV per atom. Its crystal system is tetragonal. As for the excess energy over the best structure of this formula in the dataset: 589 meV per atom.
The calculation puts the uncorrected formation energy at 0.50 eV per atom. Its crystal system is tetragonal.
The calculation puts the uncorrected formation energy at 0.75 eV per atom. Its crystal system is tetragonal.
The calculation puts the uncorrected formation energy at -0.90 eV per atom. Its crystal system is monoclinic.
The calculation puts the uncorrected formation energy at 0.39 eV per atom. Its crystal system is tetragonal. As for the excess energy over the best structure of this formula in the dataset: 124 meV per atom.